Pounding on the glass ceiling takes its toll.
Why Women Are Becoming Increasingly Dissatisfied With Their Workplace Over Time

When you accept a job offer, it can be tough to know exactly what you’re getting into. You’ll never know what it’s really like to work somewhere until you’re actually doing it. Sometimes things work out amazingly (yay!), but other times you end up with a boss who hates you, coworkers who interrupt you constantly, or just the overall feeling of being bored or unhappy at work. Some of these issues stem from toxic company culture, differences in communication styles, or a poor personality fit — but the truth is that, no matter how woman-friendly your organization claims to be, ideas about gender are hard to get around. More than 30 years after the term was coined, the “glass ceiling” is still causing problems for a lot of women in the workplace.
- - -
[1]
C25H47BrN3O5 | ωB97M-V/def2-TZVPD

The charge is -1. Its spin multiplicity is 3. As for the highest occupied orbital energy (spin up / spin down): -4.57 / -4.57 eV. The calculation puts the energy at -4095.1557 hartree.

Each line ends with the Mulliken spin population.
CARTESIAN COORDINATES (ANGSTROEM)
C  -3.695  -1.048  -3.005  -0.005
C  -2.850  0.315  -3.132  0.000
C  -1.313  0.037  -3.550  0.000
N  -0.996  0.526  -4.892  0.000
C  0.451  0.648  -5.112  0.000
C  1.110  1.755  -4.185  0.000
O  1.246  2.900  -4.642  0.000
O  1.522  1.436  -3.009  0.001
C  -1.698  -0.217  -5.941  0.000
C  -0.826  -1.181  -6.814  0.000
O  -0.787  -0.991  -7.980  0.000
Br  0.170  -2.729  -6.127  0.000
H  -4.734  -0.845  -3.362  0.000
H  -3.759  -1.294  -1.922  0.006
H  -3.234  -1.872  -3.590  0.000
H  -2.946  0.884  -2.185  0.000
H  -3.261  0.931  -3.974  0.000
H  -1.125  -1.079  -3.511  0.000
H  -0.692  0.477  -2.742  0.000
H  0.720  0.956  -6.154  0.000
H  0.981  -0.304  -4.824  0.000
H  -2.547  -0.841  -5.549  0.000
H  -2.189  0.528  -6.619  0.000
C  -3.121  -3.331  4.362  0.010
C  -3.428  -3.543  2.854  0.032
C  -2.715  -4.803  2.342  0.021
C  -1.209  -4.643  2.174  -0.020
C  -0.899  -3.419  1.316  0.023
C  -1.570  -2.138  1.828  0.017
N  -3.031  -2.320  2.093  0.336
O  -3.655  -2.356  0.919  0.591
C  -0.846  -1.673  3.112  0.020
C  -1.306  -1.007  0.832  -0.023
C  -4.943  -3.796  2.803  -0.002
H  -3.941  -3.679  4.994  0.001
H  -2.230  -3.872  4.690  0.000
H  -2.992  -2.277  4.608  -0.010
H  -3.139  -5.102  1.375  0.003
H  -2.912  -5.642  3.021  0.000
H  -0.718  -4.557  3.148  0.000
H  -0.793  -5.534  1.698  0.002
H  0.185  -3.278  1.268  0.000
H  -1.220  -3.622  0.287  0.002
H  -1.352  -0.812  3.556  -0.011
H  0.176  -1.363  2.886  0.001
H  -0.761  -2.449  3.871  0.002
H  -1.656  -1.233  -0.177  0.008
H  -0.238  -0.805  0.746  0.001
H  -1.788  -0.079  1.150  -0.005
H  -5.502  -2.923  3.147  -0.002
H  -5.206  -4.638  3.446  0.001
H  -5.291  -4.052  1.801  0.000
C  4.463  2.316  -0.502  0.014
C  3.118  2.136  0.254  0.028
C  2.115  3.207  -0.189  0.024
C  2.413  4.600  0.354  -0.020
C  2.574  4.558  1.873  0.019
C  3.601  3.517  2.340  0.032
N  3.374  2.174  1.733  0.346
O  2.334  1.632  2.342  0.572
C  5.021  4.022  1.998  0.014
C  3.591  3.464  3.877  -0.008
C  2.598  0.775  -0.218  -0.020
H  4.551  1.619  -1.335  0.001
H  4.578  3.317  -0.925  0.000
H  5.323  2.113  0.140  -0.012
H  1.104  2.923  0.128  -0.003
H  2.077  3.248  -1.284  0.003
H  3.314  5.011  -0.111  0.000
H  1.597  5.280  0.096  0.002
H  2.862  5.553  2.233  0.000
H  1.598  4.348  2.324  0.004
H  5.772  3.265  2.236  -0.009
H  5.263  4.913  2.583  0.001
H  5.141  4.308  0.955  0.001
H  2.603  3.235  4.281  0.000
H  3.884  4.428  4.298  0.000
H  4.292  2.714  4.249  -0.001
H  3.271  -0.035  0.081  -0.003
H  2.516  0.761  -1.307  0.000
H  1.601  0.550  0.166  0.011



[2]
C25H47CaClINO3Si2 | ωB97M-V/def2-TZVPD
- - -
_The calculated molecules stop here_
That’s exactly why workplace insight websites kununu and InHerSight teamed up to do research on gender equality in professional settings. Though their survey of over 5,000 employees from a wide array of companies had many important findings, a central observation was its confirmation that men are overall more satisfied in the workplace than women. What’s more, as women gain experience, they become significantly less satisfied with everything from their representation in senior management to overall leadership opportunities for women. The results indicate that women are generally more optimistic about what they can achieve and the conditions that will allow them to meet their goals early in their careers — but as they move up through the ranks, their outlooks get decidedly more dismal.
For example, the study found that 43 percent of early-career women are satisfied with their access to equal opportunities, whereas only 27 percent of senior level women are. While it’s worrying that more than half of those just starting out are already seeing barriers, the even steeper drop over time has us asking: Why are senior-level women so unhappy with their opportunities at work? According to Ursula Mead, CEO and founder of women-focused InHerSight, it has everything to do with what happens to women in the workplace over the course of their careers. “One of the things I find most interesting about our findings when we looked at satisfaction by career level is that when women first enter the workplace they feel even more optimistic than men about their access to equal opportunities,” she shares. “But over time, what they see happening to other women and what they experience themselves has a clear (and clearly negative) impact on their belief that they have the same opportunities as men, as well as their satisfaction with their access to management opportunities and their representation in leadership.” Oof, this is definitely what we would call a less-than-ideal situation.
Mead says that, based on the insights from the survey, it’s clear that women see other women who are as qualified as their male counterparts get passed over for promotions, have maternity leaves change their career trajectories, get left out of important conversations, and be pushed into support roles instead of leadership ones. “We started InHerSight because we kept hearing this, and it was time to start measuring and understanding it,” she explains. And thank goodness they did, because it’s obvious that people need to be talking about these results and even more research needs to be done.
The cause of the gap is more complex than a single point of failure. “There are likely many factors contributing to men’s higher satisfaction with their workplaces in general, and perhaps more importantly their overestimation of their workplaces’ support for women specifically,” agrees Mead. The study found that men believe women have a much higher level of support at work than they actually do — and with so many more men in leadership positions, their misperception makes it even harder to fix the problem.” Many of the policies and initiatives that companies have in place are a result of male-oriented and -dominated conditions,” Mead asserts. “That’s why it’s so important when companies challenge the old status quo of male-focused workplaces and make a deliberate effort to evolve and respond to the changing demographics and needs of their workforce.”
Here’s the good news: It’s very possible to fix this. Organizations that want to truly prioritize equal opportunities for women need to first do some serious introspection and self-evaluation. “It starts with knowing your company and knowing what you’re getting right and wrong,” stresses Mead. “Everything can look great on paper — you can have the perfect ratios, policies, and initiatives — but the key is understanding the reality of your workplace, what those policies and cultures actually mean for the women who are experiencing them.” Anonymous surveys, meetings with employees to get feedback, and brainstorming sessions are all ways companies can begin this process.
Moritz Kothe, CEO of kununu US, also notes that the very beginning of an employee’s journey with a company matters when it comes to their workplace experience. “Tackle the opportunity upstream with hiring,” he suggests. “While we value the strength that women bring to our organizations, people naturally gravitate to applicants who are most like themselves. Push to recruit, interview, and hire female candidates.” The more women are employed by a company — across all levels — the higher the chance of all women’s voices being equally heard. Here’s hoping more businesses will take notice of this kind of data and start making changes to ensure that all employees, regardless of gender, have access to the opportunities they deserve.
Are you seeing the same opportunities as the men in your organization? Tell us about it @BritandCo!
(Photos via Getty)